Diseases Of The Reproductive System p1309-1367 Flashcards
What is the most prevalent viral cause of equine pregnancy loss?
A) Equine herpes-1
B) Equine viral arthritis
C) Equine herpes-4
D) Equine infectious anemia
A) EHV-1 is the most prevalent viral cause of equine pregnancy
How does EHV-1 evade the immune system and end up in the fetus?
EHV-1 eventually inactivates the ability of MHC-1 from presenting the viral particles and allows evasion of the immune system. The virus-bearing leukocytes then travel transplacentally to invade the fetus.
How soon after infection can EHV-1 cause an abortion?
Abortions can be seen less than 2 weeks to several months after infection with EHV-1.
95% of abortions due to EHV-1 occur in which trimester?
Inserted here: data records:
(1)
DFT (the ωB97M-V functional and the def2-TZVPD basis) results for the molecule C5H8O3 at a distorted geometry.

CARTESIAN COORDINATES (ANGSTROEM)
C1 0.3899 -0.9120 -0.2550
C2 -0.3035 -1.6856 -1.3196
C3 -0.1994 1.3855 -0.0371
C4 -0.2530 -0.2890 0.8362
C5 0.3766 0.6072 1.7852
O1 1.7066 -0.8286 -0.3526
O2 -1.4705 1.7984 -0.2349
O3 0.7469 1.9298 -0.5407
H1 2.0083 -0.1998 0.3497
H2 -1.4536 2.6010 -0.7841
H3 -1.2905 -0.5577 0.9971
H4 -1.3725 -1.7369 -1.1194
H5 0.1051 -2.6994 -1.3239
H6 -0.1444 -1.2692 -2.3204
H7 1.4327 0.8579 1.7666
H8 -0.2787 0.9983 2.5529

Calculated values
Multiplicity: 1
Lowest unoccupied orbital energy (spin up / spin down) (eV): 0.3708 / 0.3709
Relative energy (zero: lowest compared OMol25 entry of this formula, charge and spin) (kJ/mol): 391.05
Energy (a.u.): -420.90712
Largest force on an atom (hartree/bohr): 0.0518
HOMO energy (spin up / spin down) (eV): -6.74 / -6.74



(2)
DFT (the ωB97M-V functional and the def2-TZVPD basis) results for the molecule C5H8O3 at a distorted geometry.

CARTESIAN COORDINATES (ANGSTROEM)
C1 1.9191 -0.3669 1.5005
C2 -0.0201 -0.3684 0.2416
C3 -1.5053 1.2811 0.0291
C4 -1.7999 0.4196 -0.9881
C5 -0.6474 -0.5597 -1.1779
H1 2.9833 -0.0894 1.3940
H2 1.8805 -1.4302 1.9767
H3 1.2470 0.3492 2.0262
H4 -0.3935 -0.9864 1.0420
H5 -2.0230 2.1979 0.3584
H6 -2.6214 0.4564 -1.6847
H7 -1.1311 -1.5479 -1.3520
H8 0.7016 0.5053 -1.9605
O1 1.3355 -0.5204 0.1592
O2 -0.2801 1.0181 0.6095
O3 0.3549 -0.3582 -2.1741

Calculated values
Multiplicity: 1
Lowest unoccupied orbital energy (eV): 0.9249
SMILES: CO[C@H]1OC=C[C@H]1O
Relative energy (zero: lowest compared OMol25 entry of this formula, charge and spin) (kJ/mol): 238.94
Energy (a.u.): -420.96506
Largest force on an atom (hartree/bohr): 0.0407
HOMO energy (eV): -9.04



(3)
DFT (the ωB97M-V functional and the def2-TZVPD basis) results for C5H8O3Pm as an isolated structure at a distorted geometry.

CARTESIAN COORDINATES (ANGSTROEM)
O1 -1.5305 1.2555 -1.7360
C1 -2.9013 0.3719 -0.4674
C2 -2.3149 -0.5322 0.2232
O2 -0.9605 -0.8409 0.1276
C3 -0.2735 -1.1517 1.3487
C4 1.1461 -1.4937 0.9675
O3 1.6309 -0.4592 0.1055
C5 3.0432 -0.4914 -0.0999
Pm1 0.1857 0.4194 -1.4414
H1 -3.9125 0.7632 -0.5471
H2 -0.7606 -2.0060 1.8366
H3 -0.3086 -0.2787 2.0154
H4 1.2024 -2.4543 0.4343
H5 1.7684 -1.5427 1.8717
H6 3.2908 0.2980 -0.8169
H7 3.5540 -0.3045 0.8534
H8 3.3408 -1.4694 -0.5028

Calculated values
Multiplicity: 5
Lowest unoccupied orbital energy (spin up / spin down) (eV): -4.7343 / -4.6511
Expectation value of S²: 6.014
Relative energy (zero: lowest compared OMol25 entry of this formula, charge and spin) (kJ/mol): 437.43
Total charge: +1
Energy (a.u.): -1028.97964
Largest force on an atom (hartree/bohr): 0.0866
HOMO energy (spin up / spin down) (eV): -11.57 / -11.60



(4)
DFT (the ωB97M-V functional and the def2-TZVPD basis) results for C5H8O3Sn as an isolated structure at a distorted geometry.

CARTESIAN COORDINATES (ANGSTROEM)
O1 -2.1682 0.0227 0.0659
C1 -3.3513 0.3167 -0.0385
So much for the data records:
Vasculitis is most prominent from 5-9 months of pregnancy and most of the abortions occur in this last trimester.
What is the most characteristic lesion of a fetus that has been aborted due to EHV-1?
EHV-1 viral abortions cause areas of necrosis in lymphoid tissue, liver, adrenal cortex and the lung, with large intranuclear eosinophilic inclusion bodies.
Grossly, the fetus will have an increased fluid amount in the thoracic and abdominal cavities.
When is it recommended to vaccinate pregnant mares agains EHV-1?
Months 5,7 and 9
List noninfectious causes of abortion in ruminants.
- Heat stress
- Other stress
- Nitrate toxicity
- Malnutrition
- Pine needle toxicity
- Drug induced
- Physical
Based on the description, pick the most likely cause of bovine abortion: also causes an upper respiratory disease; fetus can die within 24 hours after placental infiltration; 5-6 months is most susceptible range; dx by virus isolation or recognition of intranuclear inclusion bodies in fetal tissues; prevention occurs with vaccination as a heifer and then booster 3-4 weeks prior to breeding
A. BHV 1 B. BVDV C. Brucellosis D. Campylobacter E. Foothill abortion F. H. somni E. Lepto
A. BHV 1 can cause abortion in cattle
Based on the description, pick the most likely cause of bovine abortion: abortion can occur at any time; most common during first trimester; fetal loss generally occurs 10-27 days after exposure, with expulsion 50 days later; many dysplastic lesions can occur eg. cerebellar hypoplasia, microopthalmia, cataracts, brachygnathia, arthrogryposis, thymus hypoplasia;
A. BHV 1 B. BVDV C. Brucellosis D. Campylobacter E. Foothill abortion F. H. somni E. Lepto
B. BVDV is a cause of abortion in cattle.
Based on the description, pick the most likely cause of bovine abortion: multiple serovars cause disease; generally cause abortion in late to last trimester; cows usually abort without clinical signs; other clinical signs of disease are icterus, hemoglobinuria, anemia, fever, mastitis; prevention occurs through vaccination in endemic areas; dx generally occurs by serology i.e. some feti can develop microagglutination titers of 1:10 or more
A. BHV 1 B. BVDV C. Brucellosis D. Campylobacter E. Foothill abortion F. H. somni G. Lepto
G. Leptospirosis can cause abortion in cattle. Hardjo is the major serovar. Others reported are Pomona, canicola, icterohemorrhagiae, grippotyphosa and szwajizak
Based on the description, pick the most likely cause of bovine abortion: also known as epizootic bovine abortion, a deltaproteobacterium has been identified as the agent; late abortion/delivery of weak calves; lymph nodes and spleen are enlarged, thymus smaller than normal and liver enlarged and nodular; diagnosed by pathological examination, detectable by PCR in tissues (Sn - 88% and Sp 100%); transmitted by the soft-shell tick Ornithodoros coriaceus; prevalence of infection is far greater than the prevalence of abortion
A. BHV 1 B. BVDV C. Brucellosis D. Campylobacter E. Foothill abortion F. H. somni G. Lepto
E. Foothill abortion is a syndrome of late abortion in cattle in the foothills bordering the Central Valley of California
Based on the description, pick the most likely cause of bovine abortion: abortion is the chief clinical sign of this disease and occurs in the third trimester; other clinical signs are mastitis, lameness, epididymitis or orchitis; inital replication occurs in the regional lymph nodes of the dam and then travels to the mammary gland, and gravid uterus; fetal death is a result from placental disruption and endotoxemia; infection occurs through ingestion and humans need to be careful;
A. BHV 1 B. BVDV C. Brucellosis D. Campylobacter E. Foothill abortion F. H. somni G. Lepto
C. Brucellosis is a cause of abortion in cattle
What vaccine is used today against Brucella? How can field-infected cattle be differentiated from those that have been vaccinated against brucella?
The RB51 strain was developed to allow differentiation between field-infected cattle and vaccinated cattle. Cattle vaccinated with RB51 do not produce Ab against the O-polysaccharide chain.
Based on the description, pick the most likely cause of bovine abortion: this pathogen is cause for vibriosis and is an obligate pathogen of the reproductive tract; sporadic abortions can occur but most death is early embryonic or infertility; a mucopurulent endometritis is responsible for prevention of conception or embryonic death; prevention can occur through vaccination; cattle usually recover spontaneously
A. BHV 1 B. BVDV C. Brucellosis D. Campylobacter E. Foothill abortion F. H. somni G. Lepto
D. Campylobacter fetus subspecies venerealis is the cause of abortion or early embryonic death in cattle
Based on the description, pick the most likely cause of bovine abortion: can be isolated from the reproductive tract of healthy animals; a pathogen involved with BRD; aborted feti have been free of gross lesions
A. BHV 1 B. BVDV C. Brucellosis D. Campylobacter E. Foothill abortion F. H. somni G. Lepto
F. Histophilus somni can be a cause of abortion in cattle, along with associations to vulvitis, vaginitis, endometritis and weak calf syndrome
Based on the description, pick the most likely cause of bovine abortion: a venereal infection of cattle caused by this flagellated protozoan; once infected by a bull, colonization occurs in the vagina, cervix, uterus and oviducts; infected cows can ultimately clear the disease in as long as six months; bulls over 4 years of age are considered permanently infected; CULL; no gross lesions in fetus but dx occurs by observing pathogen in histology
A. Mycotic diseases
B. Neospora caninum
C. Sarcocystis
D. Tritrichomonas fetus
D. Tritrichomonas fetus is a cause of abortion in cattle
Based on the description, pick the most likely cause of bovine abortion: canids are the host of this pathogen and seed oocyts in their feces after ingestion of infected tissue from intermediate hosts such as deer or other cattle; vertical transmission from dam to fetus in utero; point source horizontal transmission; dx based on characteristic lesions in aborted feti
A. Mycotic diseases
B. Neospora caninum
C. Sarcocystis
D. Tritrichomonas fetus
B. Neospora caninum
Based on the description, pick the most likely cause of bovine abortion: many cattle are infected with this but do not show clinical signs of infection; late term abortions; pathogen most often found in fetal brain;
A. Mycotic diseases
B. Neospora caninum
C. Sarcocystis
D. Tritrichomonas fetus
C. Sarcocystis cruzi is a agent of abortion in cattle
Based on the description, pick the most likely cause of bovine abortion: occurs in last trimester; most consistent lesion is placentitis with necrosis and thickening of fetal membranes; granulomatous bronchopneumonia noted histologically in fetus; the most common agent causes the fetus to be minimally autolyzed and have partially inflated lungs; hematogenous route of infection
A. Mycotic diseases
B. Neospora caninum
C. Sarcocystis
D. Tritrichomonas fetus
A. Mycotic disease are causes of abortion in cattle. Aspergillosis causes approx 80% of all mycotic abortions
Pick the species that this breeding season best describes: seasonally polyestrous, breeding during seasons of long day length; ovulation every 21 days; estrus characterized by ovarian follicle; ovulation occurs 24-48 hours before the end of estrus; ruptured follicle replaced by CL
A. Mares B. Cattle C. Ewes D. Does E. Camelids
A. Mares
Pick the species that this breeding season best describes: polyestrus, cycle every 21 days; ovulate spontaneously after end of estrus
A. Mares B. Cattle C. Ewes D. Does E. Camelids
B. Cattle
Pick the species that this breeding season best describes: seasonally polyestrous during the autumn and winter; cycle averages 17 days; ovulation occurs spontaneously 24 hours after the onset of estrus; parturition occurs during anestrus, therefore dam does not return to estrus until next breeding season
A. Mares B. Cattle C. Ewes D. Does E. Camelids
C. Ewes
Pick the species that this breeding season best describes: seasonally polyestrous from summer until early spring; average cycle 21 days long; ovulation occurs spontaneously 24 hours after onset of estrus
A. Mares B. Cattle C. Ewes D. Does E. Camelids
D. Does
Pick the species that this breeding season best describes: no seasonal; induced ovulates; follicular waves last about 17 days;
A. Mares B. Cattle C. Ewes D. Does E. Camelids
Data records from another source follow =
Formula: C4H9NO2
Source: the Open Molecules 2025 dataset
Level of theory: ωB97M-V/def2-TZVPD

Summary:
Structure (SMILES): N[C@H](CO)CC=O
E_LUMO: 0.634 eV
HOMO-LUMO gap: 10.075 eV
Spin multiplicity: 1
Energy above the lowest of the compared OMol25 structures with the same formula, charge and spin: 45.27 kcal/mol

Each line ends with the Löwdin charge.
Element x y z (Å)
1 O -2.2824 -1.0188 1.1924  0.06
2 O 2.6448 0.3865 -0.0846  -0.04
3 N 0.1055 1.7786 0.1543  0.05
4 C 0.2166 0.3154 0.0420  -0.38
5 C -1.7703 -1.2800 0.1370  -0.27
6 C -1.0123 -0.2751 -0.6878  -0.12
7 C 1.4817 -0.0730 -0.6883  -0.28
8 H 0.2783 -0.1375 1.0356  0.14
9 H 1.4533 0.3741 -1.7013  0.13
10 H -0.7090 -0.7165 -1.6446  0.11
11 H 1.4753 -1.1329 -0.9620  0.13
12 H -1.8310 -2.3136 -0.2636  0.12
13 H 0.9736 2.2047 -0.1486  0.07
14 H -1.6604 0.5562 -0.9539  0.12
15 H 3.1458 -0.3278 0.3268  0.10
16 H -0.0400 2.0429 1.1202  0.08

* * * * *

# 1
73
Properties=species:S:1:pos:R:3 method="wB97M-V/def2-TZVPD" charge=-1 e_lumo_ev=1.48
C -3.825 1.929 3.178
C -4.207 1.101 1.844
O -3.857 1.971 0.709
P -4.461 1.360 -0.760
O -4.948 -0.088 -0.475
C -3.195 1.287 -2.151
C -1.707 1.821 -1.711
C -0.816 0.508 -1.486
C 0.675 0.764 -0.958
B 1.062 -0.740 -0.351
O 1.813 -1.644 -1.219
N 0.653 -1.230 1.001
C 1.845 -1.670 1.810
C -0.119 -2.511 0.709
O 1.774 0.981 -1.899
S 3.134 1.343 -0.930
O 4.221 0.281 -0.887
O 3.928 2.557 -1.394
O 2.347 1.487 0.587
C 0.963 1.837 0.193
Cl -0.303 1.870 1.520
C 1.143 3.392 -0.189
C 0.897 4.020 -1.581
C 1.170 5.556 -1.792
C 1.693 6.498 -0.674
C 1.924 5.872 0.728
C 1.655 4.342 0.956
O -5.825 2.216 -1.367
C -6.127 3.393 -0.558
C -6.872 3.022 0.836
H -4.648 1.712 3.945
H -3.745 3.050 2.972
H -2.849 1.523 3.649
H -3.645 0.115 1.748
H -5.330 0.916 1.877
H -3.080 0.167 -2.420
H -3.577 1.792 -3.107
H -1.814 2.493 -0.793
H -1.339 2.430 -2.613
H -0.740 -0.101 -2.451
H -1.347 -0.132 -0.691
H 1.374 -1.571 -2.107
H 1.587 -2.629 2.399
H 2.130 -0.855 2.560
H 2.759 -1.917 1.169
H 0.594 -3.355 0.369
H -0.777 -2.284 -0.220
H -0.740 -2.867 1.597
H 0.549 3.379 -2.451
H 1.007 6.035 -2.825
H 1.925 7.609 -0.824
H 2.329 6.512 1.591
H 1.887 3.966 2.018
H -5.165 3.992 -0.412
H -6.861 4.032 -1.158
H -7.081 1.888 0.862
H -7.822 3.643 1.001
H -6.106 3.228 1.671
C 2.989 -4.836 -1.677
F 1.815 -4.230 -1.953
F 3.258 -5.650 -2.724
F 3.935 -3.871 -1.708
S 2.965 -5.734 -0.087
O 1.918 -6.728 -0.248
O 2.687 -4.708 0.905
N 4.456 -6.267 -0.148
S 4.861 -7.142 1.112
O 4.240 -8.450 1.214
O 5.002 -6.431 2.370
C 6.577 -7.491 0.591
F 7.303 -6.361 0.423
F 6.631 -8.144 -0.593
F 7.251 -8.251 1.479

# 2
61
Properties=species:S:1:pos:R:3 method="wB97M-V/def2-TZVPD" charge=+2 e_lumo_ev="-6.03 / -7.18" s2=0.75 multiplicity=2
Yb 0.776 0.469 1.380
Cl -0.487 2.678 2.229
C -0.645 3.804 0.848
C 0.222 3.619 -0.184
C 0.050 4.447 -1.314
Cl 0.986 4.006 -2.608
C -0.785 5.543 -1.280
Cl -0.808 6.572 -2.637
C -1.560 5.801 -0.174
Cl -2.608 7.098 -0.211
C -1.581 4.849 0.852
Cl -2.826 4.868 2.020
C -2.037 -3.005 4.950
C -0.725 -2.303 4.704
E. Camelids
Cystic follicular degeneration occurs in many species, because of failure of ovulation of a dominant follicle. List some reasons for failure of ovulation.
- Inadequate release of gonadotropins or ovarian dysfunction
- Stress conditions such as retained placenta, metritis, hypocalcemia, postpartum ketosis
- Negative energy balance or prolonged suckling of calves can inhibit LH release
What is the goal of treating cystic follicular degeneration? What are the options
Increase luteinization of the cyst and reestablish normal estrous cycle. This can be done in five different ways.
- Spontaneous resolution, which can occur in up to 60% of cattle
- Luteinizing hormone - using hCG from 5000-10000 IU IV or IM
- GnRH - most common treatment for follicular cysts; treatment to breeding interval can be shortened by following luteolytic dose of prostaglandin 10d - 2 weeks later
- PGF - causes a quicker return to estrus and lower cost of PGF
- Manual rupture - occurs during palpation, can be followed by hemorrhage and adhesions
What is anestrus and what are causes in the mare?
Anestrus is defined as ovarian inactivity.
Puberty and seasonal anestrus (shorter days of the year)
How can seasonal anestrus be treated in the mare?
Artificial lighting, GnRGH, dopamine antagonists, steroids (exogenous progestins followed by a withdrawal promotes release of LH from pituitary, gonadotropins, follicular aspiration
What are the most common causes of enlarged ovaries in the mare?
- Tumors
- Anovulatory follicles
- Ovarian hematoma
- Pregnancy
Name the most common ovarian tumor in the mare. These tumors are hormonally active, therefore clinical diagnostic assays include which tests?
Granulosa-theca cell tumors can be diagnosed by measuring inhibin, testosterone, progesterone, anti-mullerian hormone. Treatment for this tumor consists of removing the ovary.
What is the most common tumor of the surface epithelium a of the equine ovary? Are these hormonally active?
Cystadenomas are a rare, normally hormonally inactive tumor, that need to be surgically removed.
How long after parturition is a placenta considered retained in the mare vs the cow?
Beyond 3 hours is abnormal in mares, while beyond 12 hours is abnormal in cows.
Persistent endometritis in mares can be divided into three categories.
- STDs - contagious equine metritis caused by Taylorella equigenitalis
- Persistent uterine infections - typically beta-hemolytic streptococci, E. coli, Pseudomonas, Klebsiella; occurs in combination with poor confirmation and compromised uterine defenses
- Persistent breeding-induced endometritis
Equine arteries virus affects what cells?
Macrophages and eventually lymphoid tissue.
How soon after infection can EAV cause abortions in mares?
Within 3 days of infection, the virus is circulating systemically, and animal becomes a carrier. After 10 days, the virus has affected the endothelium and abortions start occurring due to myometritis and vasculitis.